~~~
The following is a GGA-PBE calculation of a relaxed GdNiB4 crystal, from Materials Project.

As for the energy of formation from the pure elements: 0.30 eV/atom. As for the magnetization: 1.57 μB per cell.

It has space group I4/mmm (No. 139), with a = 7.573 Å, b = 7.573 Å, c = 8.544 Å, α = 90.00°, β = 90.00° and γ = 90.00°. The distinct sites, in fractional coordinates, are Gd at (0.000, 0.000, 0.203), Gd at (0.000, 0.500, 0.250), Ni at (0.000, 0.229, 0.500), B at (0.112, 0.276, 0.000) and B at (0.234, 0.234, 0.348).

***

The following is a GGA-PBE calculation of a relaxed LiHoGe crystal, from Materials Project.

As for the energy of formation from the pure elements: -0.71 eV/atom.

It has space group P-62m (No. 189), with a = 7.0407 Å, b = 7.0407 Å, c = 4.2436 Å, α = 90.00°, β = 90.00° and γ = 120.00°. The distinct sites, in fractional coordinates, are Li at (0.0000, 0.2334, 0.0000), Ho at (0.0000, 0.5764, 0.5000), Ge at (0.0000, 0.0000, 0.5000) and Ge at (0.3333, 0.6667, 0.0000).

***

The following is a GGA-PBE calculation of a relaxed CeNiSn crystal, from Materials Project.

As for the energy of formation from the pure elements: -0.53 eV/atom. As for the magnetization: 0.38 μB per cell.

It has space group C2/m (No. 12), with a = 10.616 Å, b = 4.241 Å, c = 7.258 Å, α = 90.00°, β = 128.73° and γ = 90.00°. The distinct sites, in fractional coordinates, are Ce at (0.061, 0.000, 0.337), Ni at (0.150, 0.500, 0.689) and Sn at (0.171, 0.500, 0.090).

***

The following is a GGA-PBE calculation of a relaxed CuNiSb2 crystal, from Materials Project.

As for the energy of formation from the pure elements: -0.24 eV/atom.

It has space group P-3m1 (No. 164), with a = 4.0972 Å, b = 4.0972 Å, c = 5.1372 Å, α = 90.00°, β = 90.00° and γ = 120.00°. The distinct sites, in fractional coordinates, are Cu at (0.0000, 0.0000, 0.0000), Ni at (0.0000, 0.0000, 0.5000) and Sb at (0.3333, 0.6667, 0.7258).
~~~

Could you duplicate everything above verbatim?

The following is a GGA-PBE calculation of a relaxed GdNiB4 crystal, from Materials Project.

As for the energy of formation from the pure elements: 0.30 eV/atom. As for the magnetization: 1.57 μB per cell.

It has space group I4/mmm (No. 139), with a = 7.573 Å, b = 7.573 Å, c = 8.544 Å, α = 90.00°, β = 90.00° and γ = 90.00°. The distinct sites, in fractional coordinates, are Gd at (0.000, 0.000, 0.203), Gd at (0.000, 0.500, 0.250), Ni at (0.000, 0.229, 0.500), B at (0.112, 0.276, 0.000) and B at (0.234, 0.234, 0.348).

***

The following is a GGA-PBE calculation of a relaxed LiHoGe crystal, from Materials Project.

As for the energy of formation from the pure elements: -0.71 eV/atom.

It has space group P-62m (No. 189), with a = 7.0407 Å, b = 7.0407 Å, c = 4.2436 Å, α = 90.00°, β = 90.00° and γ = 120.00°. The distinct sites, in fractional coordinates, are Li at (0.0000, 0.2334, 0.0000), Ho at (0.0000, 0.5764, 0.5000), Ge at (0.0000, 0.0000, 0.5000) and Ge at (0.3333, 0.6667, 0.0000).

***

The following is a GGA-PBE calculation of a relaxed CeNiSn crystal, from Materials Project.

As for the energy of formation from the pure elements: -0.53 eV/atom. As for the magnetization: 0.38 μB per cell.

It has space group C2/m (No. 12), with a = 10.616 Å, b = 4.241 Å, c = 7.258 Å, α = 90.00°, β = 128.73° and γ = 90.00°. The distinct sites, in fractional coordinates, are Ce at (0.061, 0.000, 0.337), Ni at (0.150, 0.500, 0.689) and Sn at (0.171, 0.500, 0.090).

***

The following is a GGA-PBE calculation of a relaxed CuNiSb2 crystal, from Materials Project.

As for the energy of formation from the pure elements: -0.24 eV/atom.

It has space group P-3m1 (No. 164), with a = 4.0972 Å, b = 4.0972 Å, c = 5.1372 Å, α = 90.00°, β = 90.00° and γ = 120.00°. The distinct sites, in fractional coordinates, are Cu at (0.0000, 0.0000, 0.0000), Ni at (0.0000, 0.0000, 0.5000) and Sb at (0.3333, 0.6667, 0.7258).